Jan. 16-19
Zachery will present the world premiere of his solo memoir,
Against Gravity: Flying Afrikans + Other Urban Legends, a "journey of self-exploration and Black masculinity, weaving together history, memory, poetry, and music. Co-written by producing director Ayinde Jean-Baptiste. It also features Chicago"s Poet Laureate Avery R. Young and the and sound artist Sadah Espii Proctor. Against Gravity... is set against the backdrop of 1980s and 90s Chicago, while André’s story is informed by three main figures: Fred Hampton, Benji Wilson, and Harold Washington. "Guided by the prophetic voice of Gwendolyn Brooks, the performance grapples with their legacies and the weight of mythologies they left behind—unraveling how they shaped a generation of Black men." Find out more here
Monica Bill Barnes and Robbie Saenz de Viteri
Playwrights Horizon
January 9-18
Barnes and Saenz de Viteri’s Many Happy Returns, "is a memory play in the form of a playful and unpredictable (even for performers) dance. This hybrid scripted and improvised work of movement and language sees Barnes playing the body and Saenz de Viteri assuming the voice of a woman, in the middle of her life, who moves with total clarity but can’t stop revealing the doubt she’s desperate to cover by dancing. Find out more here
-- Records of crystals, kept here for reference --
____________
No. 1
DFT (PBE-GGA) results for a relaxed structure of V2MoSe4S2.

Formation energy from raw total energies ... -0.752 eV per atom
Calculated total energy ... -6.45 eV/atom
Total magnetic moment ... 1.916 μB/f.u.

Cell lengths 3.2809, 3.2809, 21.2035 Å; angles 90.00, 90.00, 120.00 degrees
Fractional coordinates of all 9 atoms:
1 V 0.0000 0.0000 0.9803
2 V 0.6667 0.3333 0.6512
3 Mo 0.0000 0.0000 0.3276
4 Se 0.0000 0.0000 0.5749
5 Se 0.6667 0.3333 0.0566
6 Se 0.6667 0.3333 0.9040
7 Se 0.0000 0.0000 0.7274
8 S 0.6667 0.3333 0.4000
9 S 0.6667 0.3333 0.2552

No. 2
DFT (PBE-GGA) results for a relaxed structure of V2MoSe2S4.

Formation energy from raw total energies ... -0.797 eV per atom
Calculated total energy ... -6.64 eV/atom
Total magnetic moment ... 1.741 μB/f.u.

Cell lengths 3.2324, 3.2324, 20.6037 Å; angles 90.00, 90.00, 120.00 degrees
Fractional coordinates of all 9 atoms:
1 V 0.0000 0.0000 0.9734
2 V 0.6667 0.3333 0.6573
3 Mo 0.0000 0.0000 0.3283
4 Se 0.6667 0.3333 0.4112
5 Se 0.6667 0.3333 0.2454
6 S 0.0000 0.0000 0.5856
7 S 0.6667 0.3333 0.0452
8 S 0.6667 0.3333 0.9019
9 S 0.0000 0.0000 0.7288

No. 3
DFT (PBE-GGA) results for a relaxed structure of MoWSe2S2.

Formation energy from raw total energies ... -0.724 eV per atom
Calculated total energy ... -7.23 eV/atom
Total magnetic moment ... 0.000 μB/f.u.

Cell lengths 3.2543, 3.2543, 28.8687 Å; angles 90.00, 90.00, 120.00 degrees
Fractional coordinates of all 12 atoms:
1 Mo 0.0000 0.0000 0.0030
2 Mo 0.3333 0.6667 0.2473
3 W 0.0000 0.0000 0.4959
4 W 0.3333 0.6667 0.7567
5 Se 0.0000 0.0000 0.3062
6 Se 0.0000 0.0000 0.8159
7 Se 0.0000 0.0000 0.1885
8 Se 0.0000 0.0000 0.6975
9 S 0.3333 0.6667 0.9495
10 S 0.3333 0.6667 0.4421
11 S 0.3333 0.6667 0.0565
12 S 0.3333 0.6667 0.5496

No. 4
DFT (PBE-GGA) results for a relaxed structure of MoWSe2S2.

Formation energy from raw total energies ... -0.706 eV per atom
Calculated total energy ... -7.21 eV/atom
Total magnetic moment ... 0.000 μB/f.u.

Cell lengths 3.2570, 3.2570, 13.8408 Å; angles 90.00, 90.00, 120.00 degrees
Fractional coordinates of all 6 atoms:
1 Mo 0.6667 0.3333 0.5505
2 W 0.3333 0.6667 0.0513
3 Se 0.6667 0.3333 0.9280
4 Se 0.6667 0.3333 0.1747
5 S 0.3333 0.6667 0.6620
6 S 0.3333 0.6667 0.4390

No. 5
DFT (PBE-GGA) results for a relaxed structure of MoWSe2S2.

Formation energy from raw total energies ... -0.740 eV per atom
Calculated total energy ... -7.24 eV/atom
Total magnetic moment ... 0.000 μB/f.u.

Cell lengths 3.2525, 3.2525, 34.1981 Å; angles 90.00, 90.00, 120.00 degrees
Fractional coordinates of all 12 atoms:
1 Mo 0.3333 0.6667 0.1052
2 Mo 0.6667 0.3333 0.8948
3 W 0.3333 0.6667 0.6864
4 W 0.6667 0.3333 0.3136
5 Se 0.3333 0.6667 0.9445
6 Se 0.6667 0.3333 0.0555
7 Se 0.6667 0.3333 0.1549
8 Se 0.3333 0.6667 0.8451
9 S 0.3333 0.6667 0.3590
10 S 0.6667 0.3333 0.6410
11 S 0.6667 0.3333 0.7317
12 S 0.3333 0.6667 0.2683

No. 6
DFT (PBE-GGA) results for a relaxed structure of MoW3Se4S4.
____________
-- The article goes on --
Miguel Gutierrez
New York Live Arts
Jan. 12-18
A Randjelović/Stryker Resident Commissioned Artist, Gutierrez will premiere, Super Nothing a quartet for performers (Justin Faircloth, Wendell Gray II, Jay Carlon, and Evelyn Sanchez Narvaez), "...whose actions and choreographic relationships are analogues for how people support each other to survive," notes the release. Find out more here
Urban Bush Women
The Apollo
_Records of crystals from another source follow_
<<<
The following is a DFT calculation (GGA-PBE) of crystalline Zr3ScIr4 at its relaxed geometry.

Cell: 3.337 4.625 9.253 Å, 90.00 90.00 90.00°
Fractional positions:
Zr: 0.000 0.000 0.000
Zr: 0.000 0.500 0.253
Zr: 0.000 0.500 0.747
Sc: 0.000 0.000 0.500
Ir: 0.500 0.000 0.251
Ir: 0.500 0.000 0.749
Ir: 0.500 0.500 0.000
Ir: 0.500 0.500 0.500

Properties
Magnetization: 0.000 μB per formula unit
Volume: 17.9 Å³/atom
Crystal system: orthorhombic
Formation energy from the elements: -0.837 eV/atom
Density of states at the Fermi level: 5.05 states/eV/cell
>>>
Jan. 13 – Mar. 12
The Apollo will present Lineage Legacy and Liberation: An Examination of Urban Bush Women’s Art-Making and Community Organizing Praxis a visual exhibition in the Laura and Frank Baker Gallery with pop-up performances on select dates. Find out more here
## Misplaced calculated crystals
No. 1
# PBE-GGA TlHg2Pb8, optimized geometry
data_TlHg2Pb8
_chemical_formula_sum 'Tl1 Hg2 Pb8'
_cell_length_a 5.356
_cell_length_b 8.719
_cell_length_c 8.719
_cell_angle_alpha 72.39
_cell_angle_beta 80.25
_cell_angle_gamma 80.25
_symmetry_space_group_name_H-M 'P 1'
_symmetry_Int_Tables_number 1
_symmetry_space_group_name_Hall 'P 1'
loop_
_atom_site_label
_atom_site_type_symbol
_atom_site_fract_x
_atom_site_fract_y
_atom_site_fract_z
Pb1 Pb 0.100 0.742 0.742
Pb2 Pb 0.779 0.650 0.187
Hg1 Hg 0.471 0.141 0.141
Pb3 Pb 0.221 0.813 0.350
Tl1 Tl 0.000 0.000 0.000
Pb4 Pb 0.296 0.410 0.410
Pb5 Pb 0.221 0.350 0.813
Hg2 Hg 0.529 0.859 0.859
Pb6 Pb 0.779 0.187 0.650
Pb7 Pb 0.704 0.590 0.590
Pb8 Pb 0.900 0.258 0.258
# * density: 9.9 g cm⁻³
# * SG: C2/m, No. 12
# * energy relative to the lowest polymorph listed for this composition: 83 meV/atom
# * calculated formation energy: 116.0 meV per atom

No. 2
# PBE-GGA Tl3Hg8Pb, optimized geometry
data_Tl3Hg8Pb
_chemical_formula_sum 'Tl3 Hg8 Pb1'
_cell_length_a 8.653
_cell_length_b 8.376
_cell_length_c 8.660
_cell_angle_alpha 52.58
_cell_angle_beta 100.11
_cell_angle_gamma 127.39
_symmetry_space_group_name_H-M 'P 1'
_symmetry_Int_Tables_number 1
_symmetry_space_group_name_Hall 'P 1'
loop_
_atom_site_label
_atom_site_type_symbol
_atom_site_fract_x
_atom_site_fract_y
_atom_site_fract_z
Hg1 Hg 0.331 0.000 0.069
Hg2 Hg 0.071 0.000 0.333
Hg3 Hg 0.675 0.497 0.422
Tl1 Tl 0.312 0.502 0.310
Hg4 Hg 0.917 0.495 0.179
Tl2 Tl 0.810 0.498 0.812
Pb1 Pb 0.941 0.000 0.943
Tl3 Tl 0.435 0.000 0.434
Hg5 Hg 0.830 0.000 0.579
Hg6 Hg 0.179 0.503 0.918
Hg7 Hg 0.422 0.505 0.674
Hg8 Hg 0.578 0.000 0.827
# * density: 10.7 g cm⁻³
# * SG: Cm, No. 8
# * energy relative to the lowest polymorph listed for this composition: 11 meV/atom
# * calculated formation energy: 43.6 meV per atom

No. 3
# PBE-GGA Tl2Hg5Pb, optimized geometry
data_Tl2Hg5Pb
_chemical_formula_sum 'Tl4 Hg10 Pb2'
_cell_length_a 8.642
_cell_length_b 8.642
_cell_length_c 8.664
_cell_angle_alpha 119.91
_cell_angle_beta 119.91
_cell_angle_gamma 90.00
_symmetry_space_group_name_H-M 'P 1'
_symmetry_Int_Tables_number 1
_symmetry_space_group_name_Hall 'P 1'
loop_
_atom_site_label
_atom_site_type_symbol
_atom_site_fract_x
_atom_site_fract_y
_atom_site_fract_z
Tl1 Tl 0.851 0.649 0.000
Hg1 Hg 0.500 0.500 0.000
Hg2 Hg 0.523 0.321 0.344
Tl2 Tl 0.649 0.149 0.000
Hg3 Hg 0.321 0.821 0.344
Hg4 Hg 0.679 0.179 0.656
Hg5 Hg 0.179 0.977 0.656
Hg6 Hg 0.023 0.523 0.344
Pb1 Pb 0.750 0.750 0.500
Hg7 Hg 0.000 0.000 0.000
Tl3 Tl 0.351 0.851 0.000
Tl4 Tl 0.149 0.351 0.000
Hg8 Hg 0.821 0.023 0.344
Hg9 Hg 0.477 0.679 0.656
Hg10 Hg 0.977 0.477 0.656
Pb2 Pb 0.250 0.250 0.500
# * density: 11.7 g cm⁻³
# * SG: I4/mcm, No. 140
# * energy relative to the lowest polymorph listed for this composition: 0 meV/atom
# * calculated formation energy: 13.2 meV per atom

No. 4
# PBE-GGA Tl3HgPb12, optimized geometry
data_Tl3HgPb12
_chemical_formula_sum 'Tl3 Hg1 Pb12'
_cell_length_a 4.937
_cell_length_b 4.937
Ronald K. Brown/EVIDENCE
The Joyce
Jan. 14-19
Brown will offer a restaging of Serving Nia (2001) and the 25th anniversary performance of Grace (1999). Find out more here
Jawole WIlla Jo Zollar
The Whitney Museum of American Art
Jan. 17 - 19
Presented as part of Edges of Ailey, LifeDance IV The Emperor…The Old Woman Persists is a new work in development that experiments with the form and structure of monologues, characters, scenes, and imaginings from the past forty years of Zollar’s work with Urban Bush Women. It is directed by Niegel Smith and performed by Zollar and Tendayi Kuumba. Find out more here
Various Artists
Jan. 18 - 19
Arts On Site
Dahyun Kim (1/18), Enya Kalia Creations/MONÉT Movement Productions: The Collective and 7Midnights Physical Research (1/19) will present solo or shared evenings. Find out more here